== Given ==
-- begin --
This record from the Open Molecules 2025 dataset describes a structure of composition C6H9FNO5Pt. The level of theory is ωB97M-V/def2-TZVPD.

Properties
HOMO (spin up / spin down) (eV): -4.63 / -6.12
Net charge: -1
2S+1: 3
Orbital gap (spin up / spin down) (eV): 7.77 / 8.29

```
23
Properties=species:S:1:pos:R:3:lowdin_charge:R:1
Pt 0.23921 -1.61000 -1.34723 1.268
O 2.32260 -0.67400 1.15791 -0.070
C 1.47283 0.39030 1.50505 -0.254
C -0.01113 0.13681 1.27300 -0.150
N -0.49966 0.12756 -0.12632 -0.294
C -0.09300 1.32238 -0.86400 -0.116
C 1.34984 1.19960 -1.39195 -0.673
O 1.94951 2.22510 -1.67386 0.027
O 1.79526 -0.00504 -1.50006 -0.177
C -1.94611 -0.10631 -0.10403 -0.131
C -2.22949 -1.57509 0.25791 -0.672
O -3.28954 -1.86465 0.78595 0.029
O -1.28179 -2.39301 -0.05749 -0.188
H 2.40509 -0.65921 0.18919 0.046
H 1.58028 0.53544 2.58330 0.119
H 1.78861 1.32622 1.03012 0.116
H -0.27444 -0.82448 1.71475 0.129
H -0.56381 0.92483 1.80806 0.129
H -0.74137 1.42700 -1.73541 0.126
H -0.18048 2.23173 -0.26087 0.131
H -2.46202 0.54925 0.60469 0.125
H -2.34490 0.07363 -1.10347 0.124
F 1.01450 -2.75806 -2.74524 -0.642
```
-- stop --

== To do ==
Print everything further above exactly.

== Response ==
This record from the Open Molecules 2025 dataset describes a structure of composition C6H9FNO5Pt. The level of theory is ωB97M-V/def2-TZVPD.

Properties
HOMO (spin up / spin down) (eV): -4.63 / -6.12
Net charge: -1
2S+1: 3
Orbital gap (spin up / spin down) (eV): 7.77 / 8.29

```
23
Properties=species:S:1:pos:R:3:lowdin_charge:R:1
Pt 0.23921 -1.61000 -1.34723 1.268
O 2.32260 -0.67400 1.15791 -0.070
C 1.47283 0.39030 1.50505 -0.254
C -0.01113 0.13681 1.27300 -0.150
N -0.49966 0.12756 -0.12632 -0.294
C -0.09300 1.32238 -0.86400 -0.116
C 1.34984 1.19960 -1.39195 -0.673
O 1.94951 2.22510 -1.67386 0.027
O 1.79526 -0.00504 -1.50006 -0.177
C -1.94611 -0.10631 -0.10403 -0.131
C -2.22949 -1.57509 0.25791 -0.672
O -3.28954 -1.86465 0.78595 0.029
O -1.28179 -2.39301 -0.05749 -0.188
H 2.40509 -0.65921 0.18919 0.046
H 1.58028 0.53544 2.58330 0.119
H 1.78861 1.32622 1.03012 0.116
H -0.27444 -0.82448 1.71475 0.129
H -0.56381 0.92483 1.80806 0.129
H -0.74137 1.42700 -1.73541 0.126
H -0.18048 2.23173 -0.26087 0.131
H -2.46202 0.54925 0.60469 0.125
H -2.34490 0.07363 -1.10347 0.124
F 1.01450 -2.75806 -2.74524 -0.642
```